Material >
<<<
No. 1
This record from OMol25 describes C33H52BInN8O5SSe2SiTe2 as an isolated structure at a distorted geometry. The level of theory is wB97M-V/def2-TZVPD.

Last column: Löwdin charge in e.
Atoms and positions in Å:
In  1.756  1.362  0.074  0.554
C  1.070  -2.061  2.802  -0.075
C  1.242  -0.711  2.497  -0.171
N  2.114  -0.550  1.502  0.012
N  2.496  -1.813  1.123  0.012
C  1.878  -2.715  1.903  -0.088
B  3.677  -2.228  0.206  -0.524
N  3.568  -1.732  -1.250  -0.031
C  3.505  -2.552  -2.317  -0.115
C  3.698  -1.805  -3.457  -0.096
C  3.860  -0.494  -2.979  -0.168
N  3.782  -0.473  -1.655  0.052
N  4.985  -1.781  0.894  -0.050
C  6.040  -2.585  1.164  -0.121
C  7.009  -1.828  1.780  -0.101
C  6.438  -0.542  1.848  -0.169
N  5.224  -0.534  1.319  0.066
H  0.432  -2.490  3.556  0.089
H  0.787  0.152  2.954  0.065
H  2.054  -3.769  1.762  0.113
H  3.716  -3.432  0.143  0.110
H  3.331  -3.605  -2.194  0.101
H  3.715  -2.146  -4.479  0.083
H  4.048  0.418  -3.526  0.104
H  6.023  -3.631  0.895  0.101
H  7.978  -2.142  2.134  0.070
H  6.857  0.367  2.251  0.091
Se  4.700  3.383  2.010  -0.404
Te  5.357  5.780  2.349  -0.146
Te  4.543  4.289  -1.515  0.002
Se  4.160  2.423  0.053  -0.332
C  -2.458  1.598  4.926  -0.073
C  -1.832  2.970  4.684  -0.223
N  -0.445  2.860  4.249  -0.140
C  0.554  2.786  5.308  -0.266
C  1.097  4.161  5.688  -0.077
C  -0.137  2.772  2.921  -0.680
S  1.518  2.656  2.502  0.668
N  -1.207  2.822  2.115  0.100
C  -1.146  2.856  0.780  -0.450
O  -0.158  2.867  0.016  -0.068
C  -2.514  2.924  0.151  -0.139
C  -2.782  2.119  -0.947  -0.048
C  -4.034  2.148  -1.545  -0.074
C  -5.025  2.982  -1.046  -0.106
C  -4.757  3.795  0.050  -0.099
C  -3.506  3.759  0.652  -0.033
H  -3.501  1.703  5.238  0.068
H  -1.911  1.052  5.698  0.064
H  -2.423  1.020  4.001  0.057
H  -1.851  3.563  5.602  0.110
H  -2.391  3.482  3.908  0.096
H  1.380  2.166  4.972  0.076
H  0.086  2.302  6.170  0.108
H  1.627  4.597  4.841  0.069
H  1.804  4.066  6.515  0.072
H  0.286  4.832  5.984  0.065
H  -2.022  1.435  -1.290  0.079
H  -4.236  1.507  -2.396  0.105
H  -6.008  2.994  -1.503  0.090
H  -5.528  4.448  0.441  0.090
H  -3.285  4.389  1.504  0.105
C  -2.204  -2.295  1.018  -0.019
C  -3.019  -1.241  0.283  -0.626
C  -4.356  -1.835  -0.167  -0.030
C  -3.277  -0.073  1.236  -0.019
O  -2.371  -0.756  -0.884  -0.111
Si  -0.828  -0.844  -1.506  0.046
O  0.275  -0.055  -0.703  -0.272
O  -1.218  -0.296  -3.023  -0.104
C  -0.610  0.570  -3.976  -0.631
C  0.587  -0.126  -4.618  -0.026
C  -0.154  1.894  -3.364  -0.014
C  -1.678  0.843  -5.036  -0.031
O  -0.412  -2.450  -1.632  -0.095
C  -0.835  -3.483  -2.512  -0.632
C  0.265  -3.753  -3.538  -0.025
C  -1.016  -4.754  -1.671  -0.040
C  -2.139  -3.171  -3.251  -0.028
H  -2.803  -2.757  1.807  0.091
H  -1.326  -1.831  1.457  0.071
H  -1.855  -3.059  0.327  0.061
H  -4.996  -2.059  0.691  0.080
H  -4.197  -2.759  -0.728  0.069
H  -4.862  -1.114  -0.812  0.084
H  -3.721  -0.433  2.168  0.086
H  -3.943  0.661  0.777  0.078
H  -2.332  0.428  1.460  0.080
H  1.274  -0.442  -3.833  0.068
H  1.110  0.548  -5.300  0.090
H  0.259  -1.006  -5.178  0.077
H  0.524  1.698  -2.533  0.054
H  -1.003  2.454  -2.976  0.080
H  0.366  2.500  -4.107  0.095
H  -1.987  -0.094  -5.505  0.077
H  -1.291  1.516  -5.804  0.084
H  -2.549  1.303  -4.563  0.076
H  1.115  -4.227  -3.054  0.071
H  0.599  -2.811  -3.972  0.062
H  -0.099  -4.410  -4.333  0.083
H  -0.182  -4.832  -0.971  0.087
H  -1.027  -5.636  -2.316  0.079
H  -1.947  -4.724  -1.100  0.071
H  -1.990  -2.357  -3.959  0.074
H  -2.914  -2.861  -2.548  0.070
H  -2.472  -4.062  -3.790  0.084

Properties
HOMO-LUMO gap: 5.00 eV
E_HOMO: -1.169 eV
Net charge: -2


No. 2
This record from OMol25 describes a 2-piece molecular cluster, C2H7O overall. The level of theory is wB97M-V/def2-TZVPD.

Last column: Löwdin charge in e.
Atoms and positions in Å:
O  0.646  -2.600  0.216  -0.649
H  1.357  -2.157  -0.243  -0.223
C  -0.208  0.513  0.766  -0.192
C  -0.309  0.697  -0.748  -0.191
>>>

Job >
Start at the top of the lines earlier on and give back each line, ending with the one that has "-1.218".

Written answer >
No. 1
This record from OMol25 describes C33H52BInN8O5SSe2SiTe2 as an isolated structure at a distorted geometry. The level of theory is wB97M-V/def2-TZVPD.

Last column: Löwdin charge in e.
Atoms and positions in Å:
In  1.756  1.362  0.074  0.554
C  1.070  -2.061  2.802  -0.075
C  1.242  -0.711  2.497  -0.171
N  2.114  -0.550  1.502  0.012
N  2.496  -1.813  1.123  0.012
C  1.878  -2.715  1.903  -0.088
B  3.677  -2.228  0.206  -0.524
N  3.568  -1.732  -1.250  -0.031
C  3.505  -2.552  -2.317  -0.115
C  3.698  -1.805  -3.457  -0.096
C  3.860  -0.494  -2.979  -0.168
N  3.782  -0.473  -1.655  0.052
N  4.985  -1.781  0.894  -0.050
C  6.040  -2.585  1.164  -0.121
C  7.009  -1.828  1.780  -0.101
C  6.438  -0.542  1.848  -0.169
N  5.224  -0.534  1.319  0.066
H  0.432  -2.490  3.556  0.089
H  0.787  0.152  2.954  0.065
H  2.054  -3.769  1.762  0.113
H  3.716  -3.432  0.143  0.110
H  3.331  -3.605  -2.194  0.101
H  3.715  -2.146  -4.479  0.083
H  4.048  0.418  -3.526  0.104
H  6.023  -3.631  0.895  0.101
H  7.978  -2.142  2.134  0.070
H  6.857  0.367  2.251  0.091
Se  4.700  3.383  2.010  -0.404
Te  5.357  5.780  2.349  -0.146
Te  4.543  4.289  -1.515  0.002
Se  4.160  2.423  0.053  -0.332
C  -2.458  1.598  4.926  -0.073
C  -1.832  2.970  4.684  -0.223
N  -0.445  2.860  4.249  -0.140
C  0.554  2.786  5.308  -0.266
C  1.097  4.161  5.688  -0.077
C  -0.137  2.772  2.921  -0.680
S  1.518  2.656  2.502  0.668
N  -1.207  2.822  2.115  0.100
C  -1.146  2.856  0.780  -0.450
O  -0.158  2.867  0.016  -0.068
C  -2.514  2.924  0.151  -0.139
C  -2.782  2.119  -0.947  -0.048
C  -4.034  2.148  -1.545  -0.074
C  -5.025  2.982  -1.046  -0.106
C  -4.757  3.795  0.050  -0.099
C  -3.506  3.759  0.652  -0.033
H  -3.501  1.703  5.238  0.068
H  -1.911  1.052  5.698  0.064
H  -2.423  1.020  4.001  0.057
H  -1.851  3.563  5.602  0.110
H  -2.391  3.482  3.908  0.096
H  1.380  2.166  4.972  0.076
H  0.086  2.302  6.170  0.108
H  1.627  4.597  4.841  0.069
H  1.804  4.066  6.515  0.072
H  0.286  4.832  5.984  0.065
H  -2.022  1.435  -1.290  0.079
H  -4.236  1.507  -2.396  0.105
H  -6.008  2.994  -1.503  0.090
H  -5.528  4.448  0.441  0.090
H  -3.285  4.389  1.504  0.105
C  -2.204  -2.295  1.018  -0.019
C  -3.019  -1.241  0.283  -0.626
C  -4.356  -1.835  -0.167  -0.030
C  -3.277  -0.073  1.236  -0.019
O  -2.371  -0.756  -0.884  -0.111
Si  -0.828  -0.844  -1.506  0.046
O  0.275  -0.055  -0.703  -0.272
O  -1.218  -0.296  -3.023  -0.104